The earliest vegetable is ready to collect, it is radish. It is used as a replacement of cucumbers or tomatoes, added to salads and eat in raw form because of the abundance of the vitamins that it contains. In particular, tasty and crispy radishes goes if it was planted in January. But if there is no early radish, you can always save root from autumn, because with proper storage they are able to keep freshness for a long time.
**Here the piece breaks off for quantum chemistry results**
********
A | The following is a DFT calculation (the ωB97M-V functional and the def2-TZVPD basis) of an isolated molecule of C6H9N3O.

Values from the calculation:
Charge: 0
SMILES string: CC(=O)Nc1nccn1C
HOMO energy (eV): -8.67

Atoms and positions in Å:
C (2.16, -0.56, -0.04)
C (1.94, 0.62, 0.89)
O (2.83, 1.24, 1.35)
N (0.63, 1.03, 1.09)
C (-0.55, 0.25, 0.88)
N (-1.36, -0.26, 1.77)
C (-2.29, -0.87, 1.06)
C (-2.19, -0.68, -0.29)
N (-0.96, 0.07, -0.40)
C (-0.45, 0.54, -1.70)
H (2.06, -0.21, -1.23)
H (1.49, -1.23, 0.05)
H (3.05, -1.04, 0.40)
H (0.47, 1.37, 2.03)
H (-3.02, -1.32, 1.30)
H (-2.81, -0.86, -1.18)
H (0.29, 1.21, -1.51)
H (-0.11, -0.24, -2.29)
H (-1.17, 0.94, -2.19)

***

B | The following is a DFT calculation (the ωB97M-V functional and the def2-TZVPD basis) of an isolated molecule of C6H9N3O.

Values from the calculation:
Charge: 0
SMILES string: [H]/N=C(\O)[C@@]12C[C@@H]1N=C(C)N2
HOMO energy (eV): -9.01

Atoms and positions in Å:
H (-1.10, 1.27, -1.20)
N (-0.11, 0.71, -1.49)
C (-0.15, -0.18, -0.60)
O (-1.47, 0.20, 0.16)
C (0.91, -0.96, 0.04)
C (2.39, -0.66, -0.07)
C (1.76, -0.60, 1.28)
N (1.78, -1.76, 2.11)
C (1.14, -2.70, 1.49)
C (1.03, -4.11, 1.96)
N (0.61, -2.33, 0.29)
H (-1.35, -0.05, 1.09)
H (2.69, 0.29, -0.51)
H (3.04, -1.50, -0.32)
H (1.68, 0.37, 1.78)
H (1.68, -4.76, 1.37)
H (1.32, -4.18, 3.02)
H (0.00, -4.47, 1.84)
H (-0.14, -2.82, -0.19)

***

C | The following is a DFT calculation (the ωB97M-V functional and the def2-TZVPD basis) of an isolated molecule of C6H9N3O.

Values from the calculation:
Charge: 0
SMILES string: NCc1ccc[n+]([O-])c1N
HOMO energy (spin up / spin down) (eV): -7.78 / -7.78

Atoms and positions in Å:
N (0.55, 2.45, 0.09)
C (1.38, 1.24, 0.15)
C (0.55, 0.01, -0.12)
C (0.95, -0.95, -1.03)
C (0.16, -2.08, -1.22)
C (-1.01, -2.21, -0.51)
N (-1.41, -1.28, 0.36)
O (-2.51, -1.38, 1.01)
C (-0.64, -0.16, 0.58)
N (-1.11, 0.69, 1.52)
H (0.16, 2.55, -0.84)
H (1.12, 3.27, 0.28)
H (2.23, 1.27, -0.55)
H (1.79, 1.19, 1.17)
H (1.87, -0.83, -1.58)
H (0.45, -2.84, -1.92)
H (-1.67, -3.06, -0.62)
H (-2.06, 0.47, 1.80)
H (-0.80, 1.65, 1.45)

***

D | The following is a DFT calculation (the ωB97M-V functional and the def2-TZVPD basis) of a structure of composition C6H9N3O.

Values from the calculation:
Charge: 0
HOMO energy (eV): -8.78

Atoms and positions in Å:
C (1.50, -0.84, 1.59)
C (0.22, -1.15, 0.84)
C (-1.69, -0.86, -0.40)
C (-0.19, 1.14, -0.07)
C (-0.41, 1.79, -1.47)
C (0.99, 1.53, -0.92)
H (2.01, -0.42, 0.85)
H (2.16, -1.79, 2.01)
H (1.17, -0.18, 2.60)
H (-2.17, -3.01, -0.13)
H (-0.20, 1.90, 1.05)
H (-0.90, 2.83, -1.57)
H (-0.79, 1.02, -2.23)
H (1.48, 2.38, -0.74)
H (1.60, 0.78, -1.42)
N (-0.31, -2.31, 0.92)
N (-1.47, -2.11, 0.12)
N (-0.45, -0.23, 0.07)
O (-2.53, -0.45, -1.10)

***

Which is the most stable structure? C is the most stable.

***

A | The following is a DFT calculation (the ωB97M-V functional and the def2-TZVPD basis) of an isolated molecule of C3H2N2O3.

Values from the calculation:
Charge: 0
********
Preparation for wintering
- To radishes not grown with tasteless and fibrous, it is watered well. Water, absorbed by him from the ground, gives him compatibility and tenderness. Harvesting usually postpone on the morning. The roots that have fallen under the solar rays become sluggish and stored quite short.
- It is possible to determine the freshness of the radish and its readiness to the collection by density - a sipped or unripe rootpode will be soft to the touch and will succumb to compression.
- In the process of selection for storage for the winter, only that radisis, whose peel is not damaged by collecting. Each instance inspects the presence of rot or damage before prepare for wintering. Cracked radishes is selected as well as any damaged. Due to access of the sun's sun, its core will be tasteful and surp.
- To wintering radishes are preparing sowing from the very moment. They are sown in the first week of August. With a late sowing for ripening root, you need at least 6 weeks for final maturation. Untimely radish reaches 2 cm. In diameter it is started to collect because it is considered ripe. Long stay on the beds will lead to the fact that they will prevail and restricted among the root plates.
Storage storage
There are several varieties created specifically for long-term wintering. This is Chinese, Donggansky, a variety of red Giant and a number of others. Radish is not recommended to damage not only during the collection, but also in the process of all storage.
- If the frosts unexpectedly hit, then the frozen harvest is recommended to learn before carrying them into a basement or other storage. Also, radishes are not recommended to dig in the rain or after it because of the dirt that will inevitably stick to it. They do not even advise clean even the land-sticking towards radish - it will inevitably damage his skin, reducing its shelf life.
- I dug, the Bardwood is immediately cut, leaving a small tail. Without this, the metabolic process in it continues, the leaves will evaporate the water from the pulp and radishes will become tasteless.
Before attributed to the collected vintage for storage, radishes do not wash. Moisture falling on his skin will lead to the emergence of rot, and various infections can destroy all stocks. - Hold radishes at a temperature of about 0 degrees and with high, up to 95%, air humidity. To preserve this level of humidity, constantly, the floor of the radish storage is recommended to regularly water the water.
Before storage, radishes are folded into wooden capacity with a capacity of up to 20 kg. From above it is sprinkled with a layer of sand or turf. Sand should not contain moisture and at the same time hold the shape if it is squeezed by hand. - Sand or Derne topped with a small layer of ash or chalk. They create an alkaline environment in which many bacteria threatening radish are not able to survive. Under the end of the storage, radishes are laying next to the shelves and are moved by moisturized sand.
- In order for the harvest longer to be stored and did not lose the beneficial properties of sand, often connect with lime or chalk, choosing the proportion of 1: 50. If you take less than 50 kilo sand and use a degenerate lime instead of the extinguished, the whole crop will be burned.
**What comes next are quantum chemistry results, not part of the page:**
/*
C22H32BCl3N12OSiTi as an isolated structure, computed with ωB97M-V with the def2-TZVPD basis set.

CARTESIAN COORDINATES (ANGSTROEM)
Ti 0.07482 0.73549 -0.41891
C 1.21102 1.94869 -4.26621
C 1.44492 1.82119 -2.90011
N 0.43102 1.17219 -2.32671
N -0.46278 0.87189 -3.29101
C -0.00468 1.33359 -4.47331
B -1.71338 0.07399 -2.83961
N -1.12568 -1.18181 -2.16181
C -1.09188 -2.42431 -2.68421
C -0.08288 -3.12751 -2.06481
C 0.47082 -2.22821 -1.15721
N -0.18518 -1.06441 -1.20891
N -2.42108 0.95309 -1.79171
C -3.64518 1.50909 -1.85701
C -3.82758 2.27929 -0.72961
C -2.64028 2.14379 -0.01221
N -1.80348 1.34129 -0.66811
N -2.72438 -0.34481 -3.87091
C -3.02778 0.05479 -5.12871
C -4.14598 -0.62581 -5.53851
C -4.48238 -1.42781 -4.43901
N -3.63098 -1.25171 -3.45401
H 1.83462 2.42519 -4.99531
H 2.28742 2.17229 -2.32501
H -0.53398 1.21539 -5.39501
H -1.79488 -2.73121 -3.42911
H 0.21302 -4.13921 -2.24631
H 1.32192 -2.38261 -0.51911
H -4.30038 1.32879 -2.68331
H -4.68778 2.86049 -0.47511
H -2.36578 2.58979 0.92829
H -2.45798 0.79879 -5.64181
H -4.64468 -0.56281 -6.48221
H -5.29468 -2.11591 -4.32921
C -0.73208 0.60919 5.32979
N -0.16218 0.94259 4.04869
C 1.25642 1.22139 4.04269
C -0.88838 1.01959 2.94019
O -0.45658 1.32679 1.83289
H -0.17398 -0.20721 5.79159
H -1.77008 0.30769 5.21579
H -0.68958 1.47069 5.99809
H 1.49252 1.97119 4.79829
H 1.53942 1.59809 3.05819
H 1.81422 0.30979 4.26659
H -1.95408 0.77139 3.08999
C 0.91862 -2.79311 3.31149
C -0.04898 -2.49511 2.17559
N 0.30512 -1.21081 1.61169
C 1.59752 -0.85391 1.35719
N 1.78532 0.16029 0.55239
C 3.14462 0.62799 0.34459
C 4.12832 -0.54061 0.39759
C 3.97802 -1.23771 1.74189
N 2.57912 -1.52431 2.00879
C 2.33532 -2.74301 2.76229
H 0.71982 -3.77541 3.73619
H 0.80762 -2.05011 4.10019
H -1.07598 -2.43011 2.53989
H -0.00358 -3.29811 1.42499
H -0.33718 -0.79321 0.92359
H 3.40742 1.37569 1.11009
H 3.19622 1.11249 -0.63551
H 5.15562 -0.20181 0.27529
H 3.88812 -1.23691 -0.41041
H 4.37662 -0.61101 2.54969
H 4.53092 -2.18181 1.74059
H 3.05492 -2.77361 3.58489
H 2.51982 -3.61791 2.12279
Cl 2.00352 5.93939 0.92499
Si 1.24072 4.18119 1.53819
Cl 0.63902 3.15019 -0.11991
Cl -0.31608 4.45909 2.79409

Atoms 1-6, force components in eV/Å:
1.364 1.637 2.594
0.078 -0.015 0.085
-0.159 -0.035 -0.412
0.485 0.763 -1.693
0.237 0.190 -1.114
0.052 0.011 0.270

The total charge is +1. For the LUMO energy (alpha / beta), the calculation gives -1.7534 / -4.2698 eV. Its spin multiplicity is 4. The value obtained for the frontier orbital gap (alpha / beta) is 6.58 / 7.02 eV.

Here are the Löwdin charges for atoms 1 to 2, given in e:
1. Ti 0.573
2. C -0.027



An isolated ion of composition C5H14N2 and charge +1, computed with ωB97M-V with the def2-TZVPD basis set.

CARTESIAN COORDINATES (ANGSTROEM)
C 0.13022 0.41040 -0.15977
C -1.39677 0.16820 -0.29077
C -1.75397 -0.79786 0.83822
C -2.05043 1.57145 -0.31743
N 0.86021 -0.71305 -0.75984
C 2.39885 -0.63207 -0.62418
N 2.69800 -0.39747 0.74516
H 0.40273 1.23798 -0.83108
H 0.39239 0.62938 0.88718
*/
- Sometimes instead of sand uses exhaled sawdust. Essential oils contained in wood help disinfect the harvest, protecting it from bacteria. The most rarest way to preserve the freshness of the radish is longer than culinary deception.
Attached: quantum chemistry results
- - -
1.
Density functional theory data (ωB97M-V with the def2-TZVPD basis set) for CH5N3 in the gas phase at a distorted geometry.

Results
- E_LUMO: 0.9 eV
- E: -5587.881 eV
- Structure (SMILES): N=C(N)N
- Energy relative to the best compared isomer or geometry (same formula, charge and spin): 1.095 eV
- HOMO-LUMO gap: 10.3 eV
- HOMO level: -9.374 eV
- Strongest force on any atom: 4.660 eV/A

CARTESIAN COORDINATES (ANGSTROEM)
N 0.4704 -0.6689 1.1637
C 0.2944 -0.2288 -0.1232
N -1.1268 0.3276 -0.1768
N 1.0345 -0.1329 -1.1284
H -0.3527 -0.9724 1.6295
H 1.3781 -0.4827 1.5523
H -1.1823 1.3072 0.0824
H -1.2545 0.3065 -1.1861
H 0.7391 0.5444 -1.8132

In the Mulliken picture, each atom carries the following charge in e: -0.430, 0.590, -0.658, -0.665, 0.239, 0.229, 0.224, 0.239, 0.233

2.
Density functional theory data (ωB97M-V with the def2-TZVPD basis set) for CH5N3O as an isolated structure at a distorted geometry.

Results
- E_LUMO: 0.7 eV
- E: -7633.331 eV
- Energy relative to the best compared isomer or geometry (same formula, charge and spin): 2.306 eV
- HOMO-LUMO gap: 10.2 eV
- HOMO level: -9.477 eV
- Strongest force on any atom: 7.251 eV/A

CARTESIAN COORDINATES (ANGSTROEM)
C -1.1809 -0.2111 -0.0238
H 2.1411 -0.1953 0.6818
H 2.0468 -0.0921 -0.9154
H 0.4239 -1.7665 -0.2424
H -1.9862 1.5953 0.6097
H -0.0468 1.2557 0.1661
N 1.4912 -0.0409 -0.0749
N 0.3521 -0.7119 0.0784
N -1.1155 1.1280 -0.1999
O -2.1256 -0.9613 -0.0797

In the Mulliken picture, each atom carries the following charge in e: 0.378, 0.210, 0.191, 0.223, 0.332, 0.392, -0.538, -0.157, -0.500, -0.532

3.
Density functional theory data (ωB97M-V with the def2-TZVPD basis set) for CH5N3O as an isolated structure at a distorted geometry.

Results
- E_LUMO: 0.5 eV
- E: -7633.028 eV
- Energy relative to the best compared isomer or geometry (same formula, charge and spin): 2.610 eV
- HOMO-LUMO gap: 8.4 eV
- HOMO level: -7.891 eV
- Strongest force on any atom: 1.717 eV/A

CARTESIAN COORDINATES (ANGSTROEM)
C -0.3805 0.2756 -0.0627
N 1.5474 -1.0576 0.1740
N -1.6905 0.0825 0.1520
O 0.2737 1.4493 -0.0651
N 0.1871 -0.9026 -0.1276
H -0.3390 2.1510 0.1893
H 1.9938 -1.5515 -0.5924
H 1.9957 -0.1484 0.2782
H -2.3381 0.8236 -0.1006
H -1.2496 -1.1219 0.1550

In the Mulliken picture, each atom carries the following charge in e: 0.334, -0.527, -0.516, -0.501, -0.251, 0.318, 0.229, 0.241, 0.198, 0.475

4.
Density functional theory data (ωB97M-V with the def2-TZVPD basis set) for CH5N3O in the gas phase at a distorted geometry.

Results
- E_LUMO (spin up / spin down): 0.4 / 0.2 eV
- E: -7630.875 eV
- Energy relative to the best compared isomer or geometry (same formula, charge and spin): 4.763 eV
- HOMO-LUMO gap (spin up / spin down): 9.5 / 8.5 eV
- HOMO level (spin up / spin down): -9.032 / -8.289 eV
- Strongest force on any atom: 1.357 eV/A

CARTESIAN COORDINATES (ANGSTROEM)
C -0.1845 0.9768 0.2598
N 0.8643 0.1550 -0.4111
N -1.2061 0.3193 -0.4255
N 1.1749 -1.0571 -0.0991
O -1.4568 -0.8850 0.2096
- - -
- For this, clay is bred in the prepared capacity to the state of sour cream. After that, it is lowered by one by one radishes and put them in a blowing box. It should have enough cracks to through them, like through the sieve, an excess clay flowed.
- After it stalks, the radish will remain very thin, literally a few millimeters, a protective layer. It dries out, covered by radishes with a reliable crust that protects him from drying out and crown.
- If there are no boxes, radishes are kept in bags of polyethylene. They are not tied and put vertically, so that carbon dioxide accumulated inside, protecting the freshness of the root. In the process of storing for the freshness of the harvest, it is recommended to constantly monitor and directly eliminate spoiled specimens.
Storage in the house
In addition to special repasses, radishes are stored at home, in an ordinary refrigerator. Of course it will require reduce the volume of harvest, but at the same time will significantly simplify the care of the conservation of its freshness.
- After harvesting, radishes are cut off the tops, keeping the tails with a length of 2 cm. After that, they wash them in running water and leave to dry on the towel.
- The dried root roots are stacked and sent to the refrigerator without tie. If you still want to start it very much, it is recommended to do in packages holes for free air circulation.
- Early varieties of radish can be stored no more than 7 days, the average - no more than 14.
There is nothing complicated in the storage of radishes. Most importantly, in the process of wintering, look at the level of humidity and temperature at the storage place.